[Contents]
+++
Density functional theory data (PBE) for a relaxed structure of Cs2TiPBr6.

Output
**Space group**: I4/mmm, No. 139
**Total DFT energy (no corrections)**: -3.504 eV per atom
**V**: 350.6 Å³/cell

Cell: 7.444 7.444 8.230 Å, 63.11 63.11 90.00°
Each line ends with the local moment (μB).
Atoms (fractional coordinates):
Cs  0.750  0.250  0.500  0.00
Cs  0.250  0.750  0.500  0.00
P  0.500  0.500  0.000  -0.07
Br  0.203  0.203  0.593  -0.01
Br  0.797  0.797  0.407  -0.01
Br  0.252  0.252  0.000  0.00
Br  0.748  0.748  0.000  0.00
Br  0.748  0.252  0.000  -0.01
Br  0.252  0.748  0.000  -0.01
Ti  0.000  0.000  0.000  1.03

Density functional theory data (PBE) for a relaxed structure of ThFe6Ge6.

Output
**Space group**: Immm, No. 71
**V**: 190.3 Å³/cell
**ΔE_f**: -5.41 kcal/mol of atoms

Cell: 5.165 6.605 6.605 Å, 77.38 66.98 66.98°
Each line ends with the local moment (μB).
Atoms (fractional coordinates):
Th  0.000  0.000  0.000  -0.16
Fe  0.000  0.500  0.000  2.03
Fe  0.500  0.500  0.000  2.03
Fe  0.000  0.000  0.500  2.03
Fe  0.500  0.000  0.500  2.03
Fe  0.500  0.749  0.251  2.01
Fe  0.500  0.251  0.749  2.01
Ge  0.342  0.658  0.658  -0.07
Ge  0.658  0.342  0.342  -0.07
Ge  0.000  0.351  0.649  -0.05
Ge  0.000  0.649  0.351  -0.05
Ge  0.323  0.177  0.177  -0.07
Ge  0.677  0.823  0.823  -0.07

Density functional theory data (PBE) for a relaxed structure of Er12Bi5C2.

Output
**Space group**: C2/m, No. 12
**V**: 566.3 Å³/cell
**ΔE_f**: -8.92 kcal/mol of atoms

Cell: 7.593 9.301 9.219 Å, 106.09 90.00 114.09°
Each line ends with the local moment (μB).
Atoms (fractional coordinates):
Er  0.002  0.003  0.168  0.22
Er  0.091  0.706  0.922  0.15
Er  0.615  0.706  0.922  0.15
Er  0.130  0.725  0.447  0.10
Er  0.595  0.725  0.447  0.10
Er  0.495  0.990  0.814  0.15
Er  0.505  0.010  0.186  0.15
Er  0.870  0.275  0.553  0.10
Er  0.405  0.275  0.553  0.10
Er  0.909  0.294  0.078  0.15
Er  0.385  0.294  0.078  0.15
Er  0.998  0.997  0.832  0.22
Bi  0.288  0.576  0.650  0.00
Bi  0.313  0.625  0.155  0.00
Bi  0.000  0.000  0.500  0.00
Bi  0.687  0.375  0.845  0.00
Bi  0.712  0.424  0.350  0.00
C  0.739  0.000  0.000  -0.01
C  0.261  0.000  0.000  -0.01

~~~~~

! IrOsS2Cl | Alexandria via LeMat-Bulk | PBE | relaxed; values from VASP
&SYSTEM
  ibrav = 0, nat = 5, ntyp = 4
/
ATOMIC_SPECIES
Ir 192.22 Ir.upf
S 32.06 S.upf
Os 190.23 Os.upf
Cl 35.45 Cl.upf
CELL_PARAMETERS angstrom
-1.2778 -1.1994 -4.1074
0.9674 -4.1996 0.9253
-4.1651 -0.6332 1.4807
ATOMIC_POSITIONS crystal
Ir 0.5000 0.5000 0.5000
S 0.5000 0.0000 0.0000
Os 0.0000 0.5000 0.0000
Cl 0.0000 0.0000 0.0000
S 0.0000 0.0000 0.5000
! **Relative energy among the computed polymorphs**: 954.0 meV/atom
! **Space-group type**: P4/mmm
! **V**: 17.58 Å³/atom
+++

[Job]
Now find "0.615" and "CELL_PARAMETERS angstrom" in the notes above, and transcribe these two lines and those between.

[Written answer]
Er  0.615  0.706  0.922  0.15
Er  0.130  0.725  0.447  0.10
Er  0.595  0.725  0.447  0.10
Er  0.495  0.990  0.814  0.15
Er  0.505  0.010  0.186  0.15
Er  0.870  0.275  0.553  0.10
Er  0.405  0.275  0.553  0.10
Er  0.909  0.294  0.078  0.15
Er  0.385  0.294  0.078  0.15
Er  0.998  0.997  0.832  0.22
Bi  0.288  0.576  0.650  0.00
Bi  0.313  0.625  0.155  0.00
Bi  0.000  0.000  0.500  0.00
Bi  0.687  0.375  0.845  0.00
Bi  0.712  0.424  0.350  0.00
C  0.739  0.000  0.000  -0.01
C  0.261  0.000  0.000  -0.01

~~~~~

! IrOsS2Cl | Alexandria via LeMat-Bulk | PBE | relaxed; values from VASP
&SYSTEM
  ibrav = 0, nat = 5, ntyp = 4
/
ATOMIC_SPECIES
Ir 192.22 Ir.upf
S 32.06 S.upf
Os 190.23 Os.upf
Cl 35.45 Cl.upf
CELL_PARAMETERS angstrom